**Listing**
=====
C4H10N2 | ωB97M-V with the def2-TZVPD basis set

Summary:
**Kohn-Sham gap**: 9.84 eV
**Energy relative to the best compared isomer or geometry (same formula, charge and spin)**: 62.4 kcal/mol
**Structure (SMILES)**: N[C@H]1C[C@H](N)C1
**Lowest unoccupied orbital energy**: 1.1 eV
**E_HOMO**: -8.7 eV

Each line ends with the Löwdin charge.
Cartesian coordinates (Å):
N1 -1.99 -0.16 -0.69  0.00
C1 -1.09 0.07 0.50  -0.35
C2 0.11 -0.92 0.47  -0.17
C3 0.83 0.06 -0.29  -0.50
N2 2.27 -0.13 -0.20  0.04
C4 0.00 1.19 0.30  -0.07
H1 -2.41 -1.00 -0.22  0.08
H2 -2.69 0.65 -0.77  0.10
H3 -1.67 -0.10 1.39  0.11
H4 0.57 -0.91 1.44  0.11
H5 -0.14 -1.92 -0.04  0.14
H6 0.27 -0.04 -1.24  0.13
H7 2.71 -0.93 -0.62  0.06
H8 2.85 0.68 -0.68  0.12
H9 0.61 1.55 1.12  0.11
H10 -0.21 1.91 -0.45  0.09

C9H14N | ωB97M-V with the def2-TZVPD basis set

Summary:
**Kohn-Sham gap (alpha / beta)**: 9.36 / 7.90 eV
**Energy relative to the best compared isomer or geometry (same formula, charge and spin)**: 132.8 kcal/mol
**Structure (SMILES)**: CC1=C2C[C@H]3[C@@H]([C@@H]2C)[N@@+]13C
**Net charge**: +1
**Lowest unoccupied orbital energy (alpha / beta)**: -4.4 / -4.8 eV
**E_HOMO (alpha / beta)**: -13.8 / -12.7 eV

Each line ends with the Löwdin charge.
Cartesian coordinates (Å):
C1 0.73 -2.25 -0.32  -0.01
C2 0.28 -0.90 -0.50  -0.15
C3 1.20 0.33 -0.66  0.02
C4 1.70 0.46 0.74  -0.05
C5 0.25 0.51 1.38  -0.10
C6 -0.60 1.18 0.43  -0.06
C7 0.26 1.59 -0.72  -0.26
C8 -0.40 1.69 -2.08  -0.04
N1 -0.57 -0.39 0.53  -0.10
C9 -1.68 -1.16 1.06  0.04
H1 -0.08 -2.94 0.02  0.10
H2 1.48 -2.19 0.46  0.09
H3 1.17 -2.75 -1.20  0.12
H4 2.18 -0.42 1.09  0.10
H5 2.28 1.38 1.08  0.16
H6 0.06 0.42 2.46  0.18
H7 -1.51 1.84 0.75  0.22
H8 0.76 2.60 -0.60  0.18
H9 -1.09 0.90 -2.30  0.08
H10 0.36 1.63 -2.77  0.06
H11 -0.83 2.68 -2.28  0.10
H12 -1.95 -1.91 0.30  0.12
H13 -1.42 -1.73 1.91  0.09
H14 -2.59 -0.57 1.24  0.12

C12H15Br3Cl6O9 | ωB97M-V with the def2-TZVPD basis set

Summary:
**Kohn-Sham gap**: 9.71 eV
**Energy relative to the best compared isomer or geometry (same formula, charge and spin)**: 57.5 kcal/mol
**Lowest unoccupied orbital energy**: -1.0 eV
**E_HOMO**: -10.8 eV

Each line ends with the Löwdin charge.
Cartesian coordinates (Å):
C1 0.83 -0.15 -0.41  -1.46
Br1 0.63 1.56 0.58  0.59
Br2 1.28 -1.60 0.90  0.52
Br3 2.32 0.00 -1.73  0.56
H1 -0.08 -0.36 -0.97  -0.11
C2 -2.88 -2.80 1.00  -1.65
Cl1 -2.36 -4.28 0.31  0.56
Cl2 -4.61 -2.88 0.97  0.58
Cl3 -2.25 -1.44 0.16  0.58
H2 -2.51 -2.72 2.02  0.03
C3 -1.90 1.89 -3.27  -1.56
Cl4 -3.51 2.13 -2.57  0.55
Cl5 -1.59 0.12 -3.45  0.52
Cl6 -0.65 2.80 -2.56  0.59
H3 -1.93 2.14 -4.33  0.01
C4 -0.46 -3.98 -3.98  -0.11
C5 0.39 -3.21 -3.01  -0.19
O1 1.58 -2.92 -3.64  0.03
C6 1.60 -3.41 -4.91  -0.47
O2 2.48 -3.26 -5.75  0.14
O3 0.51 -4.26 -4.98  0.04
H4 -1.28 -3.35 -4.32  0.13
H5 -0.81 -4.96 -3.65  0.14
H6 0.53 -3.79 -2.10  0.13
H7 -0.03 -2.27 -2.64  0.08
C7 -2.69 3.38 2.44  -0.06
C8 -2.81 2.21 1.45  -0.14
O4 -3.65 1.30 2.17  0.05
C9 -4.00 1.80 3.36  -0.54
O5 -4.58 1.14 4.30  0.07
O6 -3.79 3.09 3.36  0.07
H8 -2.69 4.39 2.04  0.14
H9 -1.78 3.22 3.02  0.13
H10 -1.85 1.73 1.29  0.02
H11 -3.18 2.56 0.49  0.11
C10 4.22 1.18 3.67  -0.11
C11 4.22 0.99 2.16  -0.14
O7 4.65 2.29 1.70  0.02
C12 5.43 2.88 2.71  -0.52
O8 6.03 3.94 2.67  0.15
O9 5.11 2.27 3.82  0.07
H12 4.77 0.36 4.13  0.13
H13 3.20 1.19 4.03  0.13
H14 3.20 0.77 1.85  0.05
H15 4.91 0.29 1.69  0.13
=====
**Activity**
The reader should search the data earlier on for the word "Structure" and type out each line that has it.
**Here it is**
**Structure (SMILES)**: N[C@H]1C[C@H](N)C1
**Structure (SMILES)**: CC1=C2C[C@H]3[C@@H]([C@@H]2C)[N@@+]13C